PA Bill Number: HB887
Title: In firearms and other dangerous articles, further providing for limitation on the regulation of firearms and ammunition; and, in general provisions ...
Description: In firearms and other dangerous articles, further providing for limitation on the regulation of firearms and ammunition; and, in general provision ...
Last Action: Referred to JUDICIARY
Last Action Date: Mar 13, 2025

SCOTUS Agrees To Hear Case That May Ultimately Undermine ATF :: 12/11/2018
One of the biggest problems with the Bureau of Alcohol, Tobacco, Firearms and Explosives (ATF) isn’t that it enforces the law. I mean, it exists explicitly for that purpose, so that’s kind of what it’s supposed to be doing.
_Unrelated to this text: crystal structures_
'''
Record 1
# Pr6MnS10, relaxed, DFT PBE
data_Pr6MnS10
_cell_length_a 7.442
_cell_length_b 7.455
_cell_length_c 30.633
_cell_angle_alpha 94.21
_cell_angle_beta 95.14
_cell_angle_gamma 108.78
_space_group_name_H-M_alt 'P 1'
_space_group_IT_number 1
_space_group_name_Hall 'P 1'
loop_
_atom_site_label
_atom_site_type_symbol
_atom_site_fract_x
_atom_site_fract_y
_atom_site_fract_z
_atom_site_occupancy
Pr1 Pr 0.000 0.000 0.000 1
Pr2 Pr 0.001 0.883 0.125 1
Pr3 Pr 0.044 0.797 0.852 1
Pr4 Pr 0.173 0.665 0.345 1
Pr5 Pr 0.180 0.445 0.101 1
Pr6 Pr 0.205 0.084 0.530 1
Pr7 Pr 0.211 0.214 0.400 1
Pr8 Pr 0.254 0.019 0.249 1
Pr9 Pr 0.260 0.636 0.628 1
Pr10 Pr 0.380 0.637 0.500 1
Pr11 Pr 0.382 0.894 0.750 1
Pr12 Pr 0.397 0.404 0.801 1
Pr13 Pr 0.400 0.289 0.926 1
Pr14 Pr 0.581 0.844 0.902 1
Pr15 Pr 0.589 0.087 0.149 1
Pr16 Pr 0.600 0.591 0.207 1
Pr17 Pr 0.652 0.409 0.048 1
Pr18 Pr 0.657 0.031 0.424 1
Pr19 Pr 0.763 0.033 0.300 1
Pr20 Pr 0.767 0.284 0.555 1
Pr21 Pr 0.791 0.665 0.725 1
Pr22 Pr 0.802 0.806 0.602 1
Pr23 Pr 0.846 0.605 0.445 1
Pr24 Pr 0.978 0.227 0.700 1
Mn1 Mn 0.048 0.447 0.232 1
Mn2 Mn 0.434 0.810 0.024 1
Mn3 Mn 0.860 0.239 0.827 1
Mn4 Mn 0.983 0.465 0.948 1
S1 S 0.024 0.668 0.047 1
S2 S 0.035 0.309 0.477 1
S3 S 0.036 0.665 0.547 1
S4 S 0.053 0.192 0.605 1
S5 S 0.058 0.071 0.779 1
S6 S 0.088 0.579 0.776 1
S7 S 0.119 0.905 0.677 1
S8 S 0.140 0.294 0.297 1
S9 S 0.232 0.387 0.001 1
S10 S 0.232 0.876 0.448 1
S11 S 0.242 0.853 0.953 1
S12 S 0.249 0.520 0.876 1
S13 S 0.259 0.269 0.176 1
S14 S 0.289 0.776 0.172 1
S15 S 0.340 0.099 0.072 1
S16 S 0.366 0.497 0.708 1
S17 S 0.419 0.063 0.848 1
S18 S 0.423 0.716 0.274 1
S19 S 0.425 0.049 0.347 1
S20 S 0.468 0.607 0.407 1
S21 S 0.477 0.465 0.574 1
S22 S 0.479 0.948 0.575 1
S23 S 0.534 0.307 0.475 1
S24 S 0.559 0.704 0.096 1
S25 S 0.631 0.900 0.677 1
S26 S 0.638 0.257 0.242 1
S27 S 0.644 0.683 0.980 1
S28 S 0.658 0.780 0.806 1
S29 S 0.665 0.270 0.759 1
S30 S 0.704 0.197 0.971 1
S31 S 0.759 0.495 0.883 1
S32 S 0.771 0.895 0.505 1
S33 S 0.843 0.474 0.148 1
S34 S 0.845 0.471 0.645 1
S35 S 0.846 0.123 0.076 1
S36 S 0.853 0.967 0.202 1
S37 S 0.881 0.349 0.376 1
S38 S 0.891 0.873 0.376 1
S39 S 0.948 0.699 0.270 1
S40 S 0.965 0.098 0.899 1
# * formation energy: -3485 kJ/mol of formula units
# * electronic total energy: -6.49 eV/atom

Record 2
# Pr4MnSb9, relaxed, DFT PBE
data_Pr4MnSb9
_cell_length_a 24.373
_cell_length_b 4.236
_cell_length_c 15.788
_cell_angle_alpha 90.00
_cell_angle_beta 97.90
_cell_angle_gamma 90.00
_space_group_name_H-M_alt 'C 1 2/m 1'
_space_group_IT_number 12
_space_group_name_Hall '-C 2y'
loop_
_atom_site_label
_atom_site_type_symbol
_atom_site_fract_x
_atom_site_fract_y
_atom_site_fract_z
_atom_site_occupancy
Pr1 Pr 0.059 0.000 0.319 1
Pr2 Pr 0.066 0.000 0.893 1
Pr3 Pr 0.113 0.000 0.642 1
Pr4 Pr 0.206 0.000 0.113 1
Mn1 Mn 0.230 0.500 0.375 1
Sb1 Sb 0.000 0.000 0.500 1
Sb2 Sb 0.000 0.500 0.000 1
Sb3 Sb 0.040 0.500 0.737 1
Sb4 Sb 0.072 0.000 0.114 1
Sb5 Sb 0.091 0.500 0.480 1
Sb6 Sb 0.142 0.500 0.229 1
'''
No, the biggest problem is that in addition to enforcing those rules, it also gets to make them up as it goes. The ATF is also tasked by Congress to interpret the law and create regulatory policies on the subject that it then gets to turn around and enforce.
### Inserted here: data records
# RbYO3

Crystalline RbYO3 at its relaxed geometry (GGA-PBE, the Materials Project).

Output
space group = Pm-3m (221)
total magnetization = 0.40 μB per atom
E = -6.313 eV/atom

abc: 4.5431 4.5431 4.5431
angles: 90.00 90.00 90.00
Sites, in units of the cell vectors:
Rb  0.0000  0.0000  0.0000
Y  0.5000  0.5000  0.5000
O  0.5000  0.5000  0.0000
O  0.5000  0.0000  0.5000
O  0.0000  0.5000  0.5000

* * * * *

1.
GGA-PBE PCl5, relaxed; DFT total energy = -3.02 eV per atom; space-group type = P4/n (85); volume = 722.40 Å³ per cell
1.0
9.7510 0.0000 0.0000
0.0000 9.7510 0.0000
0.0000 0.0000 7.5976
P Cl
4 20
Direct
0.2500 0.2500 0.1210 P
0.2500 0.7500 0.5000 P
0.7500 0.2500 0.5000 P
0.7500 0.7500 0.8790 P
0.0459 0.1618 0.1178 Cl
0.0931 0.7968 0.3506 Cl
0.1618 0.4541 0.1178 Cl
0.2032 0.5931 0.6494 Cl
0.2500 0.2500 0.4050 Cl
0.2500 0.2500 0.8316 Cl
0.2968 0.9069 0.6494 Cl
0.3382 0.0459 0.1178 Cl
0.4069 0.7032 0.3506 Cl
0.4541 0.3382 0.1178 Cl
0.5459 0.6618 0.8822 Cl
0.5931 0.2968 0.6494 Cl
0.6618 0.9541 0.8822 Cl
0.7032 0.0931 0.3506 Cl
0.7500 0.7500 0.1684 Cl
0.7500 0.7500 0.5950 Cl
0.7968 0.4069 0.3506 Cl
0.8382 0.5459 0.8822 Cl
0.9069 0.2032 0.6494 Cl
0.9541 0.8382 0.8822 Cl

2.
GGA-PBE PCl5, relaxed; DFT total energy = -3.01 eV per atom; space-group type = C2/m (12); volume = 512.77 Å³ per cell
1.0
7.6442 -4.3386 0.0000
7.6442 4.3386 0.0000
-5.0626 0.0000 7.7306
P Cl
3 15
Direct
0.0000 0.0000 0.0000 P
0.2399 0.2399 0.7238 P
0.7601 0.7601 0.2762 P
0.0333 0.6611 0.3330 Cl
0.1395 0.7868 0.8085 Cl
0.1613 0.1613 0.0742 Cl
0.2132 0.8605 0.1915 Cl
0.3048 0.3048 0.5893 Cl
0.3389 0.9667 0.6670 Cl
0.3518 0.3518 0.9712 Cl
0.5000 0.5000 0.5000 Cl
0.6482 0.6482 0.0288 Cl
0.6611 0.0333 0.3330 Cl
0.6952 0.6952 0.4107 Cl
0.7868 0.1395 0.8085 Cl
0.8387 0.8387 0.9258 Cl
0.8605 0.2132 0.1915 Cl
0.9667 0.3389 0.6670 Cl

3.
GGA-PBE Re2PCl, relaxed; DFT total energy = -6.93 eV per atom; space-group type = F-43m (216); volume = 244.07 Å³ per cell
1.0
6.2494 0.0000 0.0000
0.0000 6.2494 0.0000
0.0000 0.0000 6.2494
Re P Cl
8 4 4
Direct
0.0000 0.0000 0.0000 Re
0.0000 0.5000 0.5000 Re
0.2500 0.2500 0.2500 Re
0.2500 0.7500 0.7500 Re
0.5000 0.0000 0.5000 Re
0.5000 0.5000 0.0000 Re
0.7500 0.2500 0.7500 Re
0.7500 0.7500 0.2500 Re
0.2500 0.2500 0.7500 P
0.2500 0.7500 0.2500 P
0.7500 0.2500 0.2500 P
0.7500 0.7500 0.7500 P
0.0000 0.0000 0.5000 Cl
0.0000 0.5000 0.0000 Cl
0.5000 0.0000 0.0000 Cl
0.5000 0.5000 0.5000 Cl

What is the DFT total energy in the first record?
-3.02 eV per atom

* * * * *

Computed, not measured: crystalline DyGe2Pd at its relaxed geometry at the PBE-GGA level of DFT. Values from VASP.

```
&SYSTEM
  ibrav = 0, nat = 16, ntyp = 3
/
ATOMIC_SPECIES
Dy 162.50 Dy.upf
Ge 72.64 Ge.upf
Pd 106.42 Pd.upf
CELL_PARAMETERS angstrom
-2.155 4.419 8.257
2.155 -4.419 8.257
2.155 4.419 -8.257
ATOMIC_POSITIONS crystal
Dy 0.203 0.203 0.000
Dy 0.237 0.000 0.237
Dy 0.763 0.000 0.763
Dy 0.797 0.797 0.000
Ge 0.075 0.575 0.500
Ge 0.150 0.801 0.349
Ge 0.425 0.425 0.000
It doesn’t take a rocket scientist to see all the many ways this creates problems.
Then top it off with the fact that the courts have taken a hands-off approach to this, known as Auer and Chevron deference, and you have a disaster in the making.
However, it seems there’s a chance that those days are numbered.
Recently, there has been a push from some quarters to reconsider Auer deference, Chevron deference, and other aspects of the modern administrative law state, and overturn them as being inherently unconstitutional; specifically, that such deference to bureaucratic decisions violates the required Separation of Powers.
Were that to happen, the current administrative state would be rocked to its core. While there have been some rumblings from Justice Thomas and others in this regard, there did not appear to be a majority on the Supreme Court interested in potentially unleashing this kind of political earthquake. (Scalia and Kennedy were, at best, squishy on the issue.)
Today, however, the Supreme Court granted cert in a case, Kisor v. Wilkie, that specifically challenges whether Auer deference is constitutional. With the addition of Justices Gorsuch and Kavanaugh — both of whom have expressed reservations about the current state of administrative law — there may now indeed be the five votes needed to begin to undo the decades-long abdication of power to the vast federal bureaucracy, including BATFE.
Keep your eye on this one. This case could eventually do more for gun owners than any case since Heller, and indeed could be one of the most important Supreme Court cases in recent history.
This is a good thing for all of us because Auer deference specifically keeps the courts from calling down regulatory bodies overstepping their bounds unless they’re particularly egregious. You know, things like the ATF potentially declaring things like bump stocks as machine guns despite them not having anything to do with how many rounds can be fired with a single pull of the trigger.
The courts have routinely allowed bureaucrats to do pretty much whatever they want, and as a result, we have unelected officials who are able to change federal law with a stroke of a pen. There’s no way that should ever be allowed to happen in this country.
If this court case overturns Auer deference, then the ATF needs to take a step back and recognize that it isn’t going to get away with just passing new rules. It has to stick to the mandates handed down by Congress.
Someone pasted crystal structures at this point =
........
! PBE Rb2LiTc2O8, optimized geometry; values from VASP
! Total DFT energy (no corrections): -6.6050 eV per atom
! Relative energy among the computed polymorphs: 0.00 eV/f.u.
! M_tot: 0.08 μB per atom
! SG: P1
! Formation enthalpy at 0 K: -2.091 eV per atom
&SYSTEM
  ibrav = 0, nat = 13, ntyp = 4
/
ATOMIC_SPECIES
Rb 85.47 Rb.upf
Li 6.94 Li.upf
Tc 98.00 Tc.upf
O 16.00 O.upf
ATOMIC_POSITIONS angstrom
Rb -2.493 -1.888 1.829
Rb 0.321 -1.463 4.899
Li -3.357 -5.503 0.876
Tc -2.732 1.766 5.306
Tc 0.096 -4.746 1.704
O -1.395 2.305 6.331
O 0.459 0.058 2.255
O -2.215 0.479 4.240
O 1.637 0.761 6.274
O -4.369 -3.851 0.496
O -0.091 -3.370 2.785
O -2.869 -3.143 4.455
O -1.493 -5.198 1.021
CELL_PARAMETERS angstrom
2.640 2.856 6.914
-5.688 0.406 0.009
0.434 -6.288 0.058


PuSi2Pd2: optimized geometry, r2SCAN.

```
PuSi2Pd2
1.0
-2.068 2.068 5.033
2.068 -2.068 5.033
2.068 2.068 -5.033
Pd Pu Si
2 1 2
Direct
0.750 0.250 0.500
0.250 0.750 0.500
0.000 0.000 0.000
0.384 0.384 0.000
0.616 0.616 0.000
```

Output
E   -30.811 eV per atom


Record 1
Material: Rb2NbCuS4
Method: DFT, PBE-GGA
State: optimized geometry

Cell lengths 13.9899, 12.4773, 7.4668 Å; angles 85.16, 62.71, 32.13 degrees
Closest atoms and distances in Å follow each position.
Fractional coordinates of all 16 atoms:
Rb (0.5486, 0.5532, 0.2046)  8 S 3.50-3.75
Rb (0.1953, 0.2034, 0.5542)  8 S 3.49-3.79
Rb (0.4417, 0.4523, 0.8121)  8 S 3.49-3.74
Rb (0.7967, 0.8110, 0.4513)  8 S 3.45-3.72
Nb (0.6331, 0.6178, 0.6153)  4 S 2.23-2.36
Nb (0.3825, 0.3704, 0.3670)  4 S 2.30-2.34
Cu (0.1323, 0.1209, 0.1179)  4 S 2.32-2.41
Cu (0.8659, 0.8836, 0.8841)  4 S 2.35-2.40
S (0.1823, 0.4624, 0.7634)  1 Nb 2.33, 1 Cu 2.40
S (0.0794, 0.7772, 0.4747)  1 Nb 2.34, 1 Cu 2.37
S (0.7712, 0.0893, 0.1741)  1 Nb 2.30, 1 Cu 2.36
S (0.4631, 0.1765, 0.0952)  1 Nb 2.31, 1 Cu 2.35
S (0.5316, 0.8247, 0.9167)  1 Cu 2.32, 1 Nb 2.36
S (0.9015, 0.2404, 0.5368)  1 Nb 2.26, 1 Cu 2.41
S (0.2405, 0.9034, 0.8236)  1 Nb 2.29, 1 Cu 2.34
S (0.8189, 0.5354, 0.2398)  1 Nb 2.23, 1 Cu 2.35

## Properties
Total magnetization: 0.000 μB per cell
Energy above the most stable polymorph in this dataset: 12.0 meV/atom
Raw total energy: -41.1 eV/f.u.

Record 2
Material: Te2Mo3S4
Method: DFT, PBE-GGA
State: optimized geometry

Cell lengths 3.3012, 3.3012, 30.4614 Å; angles 90.00, 90.00, 120.00 degrees
Closest atoms and distances in Å follow each position.
Fractional coordinates of all 9 atoms:
Te (0.3333, 0.6667, 0.5154)  3 Mo 2.70
Te (0.3333, 0.6667, 0.6412)  3 Mo 2.70
Mo (0.0000, 0.0000, 0.1156)  6 S 2.44
Mo (0.0000, 0.0000, 0.5784)  6 Te 2.70
Mo (0.3333, 0.6667, 0.3470)  6 S 2.44
S (0.0000, 0.0000, 0.3972)  3 Mo 2.44
S (0.3333, 0.6667, 0.0654)  3 Mo 2.44
S (0.3333, 0.6667, 0.1659)  3 Mo 2.44
S (0.0000, 0.0000, 0.2967)  3 Mo 2.44

## Properties
Total magnetization: 0.000 μB per cell
Raw total energy: -60.8 eV/f.u.

Record 3
Material: K2Si4SbO11
Method: DFT, PBE-GGA
State: optimized geometry
........
The text goes on =
It would sure be a nice change of pace.
Tom Knighton is a Navy veteran, a former newspaperman, a novelist, and a blogger and lifetime shooter. He lives with his family in Southwest Georgia. https://bearingarms.com/author/tomknighton/